Parker--Lorne F. (Class of 1901)

Displaying 1 - 28 of 28 in reverse chronological order
# Title Date Summary
1 Lorne F. Parker
Alumnus 24:1, p.33
Died at home, in Cherokee, Oct. 2, at the age of 57. He had been associated with the First Abstract and Loan Co., and the Cherokee Livestock Auction Co., in Cherokee. He was an officer of the Cherokee First National Bank from 1921 to 1930.
2 Lorne F. Parker
Alumni News Letter 5:1, p.5
Parker is Vice President of First National Bank in Cherokee, Iowa.
3 Lorne F. Parker
Alumni News Letter 4:1, p.6
Lorne F. Parker is President of First National Bank at Newell, Iowa, and reports good business conditions.
4 Lorne F. Parker
Normal Eyte 19:21, p.335
Working in Cherokee bank.
5 Lorne Parker
Normal Eyte 17:14, p.218
Managing bank in Oregon.
6 Ames-Normal debates
Normal Eyte 16:11, p.161
Reprint of the scores of the last ten debates between Normal and Ames. Score is overwhelmingly In Normal's favor; photo.
7 Ames-Normal debates
Normal Eyte 15:29, p.450
Topic, debaters, and results of the last nine debates held between Ames and I. S. N. S.
8 After two very successful years
Normal Eyte 13:35, p.556
Lorne Parker will work in bank in Larrabee.
9 The Cherokee organization
Normal Eyte 13:27, p.423
Lorne Parker, E. A. Brinton, and Guy Clevenger were on a meeting program.
10 Most excellent reports
Normal Eyte 13:25, p.394
Lorne Parker doing well in Larabee.
11 A large number of alumni
Normal Eyte 12:35, p.554
Many alumni attended Commencement.
12 Lorne Parker
Normal Eyte 12:31, p.488
Will continue at Larrabee.
13 Lorne Parker
Normal Eyte 12:14, p.220
Many Normalites were home for the holidays.
14 Thomas Hawk
Normal Eyte 12:1, p.8
Thomas Hawk resigns at Larabee; Lorne Parker takes his place.
15 Commencement exercises
Normal Eyte 11:35, p.856

Description of extensive program of activities.

## Here the article breaks off for crystal structures
~~~
Entry 1:
Calculated powder diffraction line list
Compound: Na2SrPaTe4
Radiation: λ = 1.5418 Å (Cu Kα)
Structure: a cell relaxed with PBE
Neutral-atom scattering factors, no anomalous dispersion.

Crystal structure
abc: 6.397 6.397 13.415
angles: 90.00 90.00 90.00
Space group I-4m2 (No. 119)
Inequivalent atoms, fractional coordinates:
Na 0.000 0.000 0.000 [2 per cell]
Na 0.000 0.500 0.250 [2 per cell]
Sr 0.000 0.500 0.750 [2 per cell]
Pa 0.000 0.000 0.500 [2 per cell]
Te 0.000 0.000 0.274 [4 per cell]
Te 0.000 0.500 0.000 [4 per cell]

Principal peaks in the range 15° ≤ 2θ ≤ 90°, sorted by position:
- 15.3°, I = 66, hkl 1 0 1
- 26.6°, I = 51, hkl 0 0 4
- 27.9°, I = 100, hkl 2 0 0
- 32.0°, I = 23, hkl 2 1 1
- 38.9°, I = 74, hkl 2 0 4
- 39.9°, I = 38, hkl 2 2 0
- 48.6°, I = 39, hkl 2 2 4
- 71.7°, I = 24, hkl 4 2 4

Entry 2:
Calculated powder diffraction line list
Compound: NaPaTe3
Radiation: λ = 1.5418 Å (Cu Kα)
Structure: a cell relaxed with PBE
Neutral-atom scattering factors, no anomalous dispersion.

Crystal structure
abc: 7.458 10.018 16.796
angles: 90.00 90.00 90.00
Space group Fmmm (No. 69)
Inequivalent atoms, fractional coordinates:
Na 0.227 0.000 0.000 [8 per cell]
Pa 0.250 0.250 0.250 [8 per cell]
Te 0.000 0.000 0.179 [8 per cell]
Te 0.000 0.164 0.385 [16 per cell]

Principal peaks in the range 15° ≤ 2θ ≤ 90°, sorted by position:
- 29.8°, I = 74, hkl 1 3 1
- 30.5°, I = 40, hkl 1 1 5
- 31.8°, I = 90, hkl 2 2 2
- 32.1°, I = 100, hkl 2 0 4
- 33.5°, I = 44, hkl 1 3 3
- 36.8°, I = 42, hkl 0 2 6
- 36.9°, I = 43, hkl 2 2 4
- 62.9°, I = 31, hkl 2 4 8

Entry 3:
Calculated powder diffraction line list
Compound: NaPa2Te3
Radiation: λ = 1.5418 Å (Cu Kα)
Structure: a cell relaxed with PBE
Neutral-atom scattering factors, no anomalous dispersion.

Crystal structure
abc: 4.165 6.174 13.897
angles: 90.00 90.00 90.00
Space group Immm (No. 71)
Inequivalent atoms, fractional coordinates:
Na 0.000 0.000 0.000 [2 per cell]
Pa 0.000 0.000 0.330 [4 per cell]
Te 0.000 0.500 0.000 [2 per cell]
Te 0.000 0.500 0.337 [4 per cell]

Principal peaks in the range 15° ≤ 2θ ≤ 90°, sorted by position:
- 15.7°, I = 18, hkl 0 1 1
- 28.8°, I = 100, hkl 1 0 3
- 28.9°, I = 44, hkl 0 2 0
- 38.9°, I = 22, hkl 0 0 6
- 41.3°, I = 67, hkl 1 2 3
- 49.2°, I = 23, hkl 0 2 6
- 53.0°, I = 16, hkl 2 2 0
- 67.8°, I = 16, hkl 1 4 3

Entry 4:
Calculated powder diffraction line list
Compound: Na15Pb
Radiation: λ = 1.5418 Å (Cu Kα)
Structure: a cell relaxed with PBE
Neutral-atom scattering factors, no anomalous dispersion.

Crystal structure
abc: 7.3380 7.3380 11.9827
angles: 90.00 90.00 120.00
Space group P-6m2 (No. 187)
Inequivalent atoms, fractional coordinates:
Na 0.0000 0.0000 0.0000 [1 per cell]
Na 0.0038 0.5019 0.5000 [3 per cell]
Na 0.3235 0.1617 0.2616 [6 per cell]
Na 0.3333 0.6667 0.2407 [2 per cell]
Na 0.5028 0.0057 0.0000 [3 per cell]
Pb 0.0000 0.0000 0.5000 [1 per cell]

Principal peaks in the range 15° ≤ 2θ ≤ 90°, sorted by position:
- 15.8°, I = 68, hkl 1 0 1
~~~

16 In general; competitive drill; Company A wins
Normal Eyte 11:34, p.832
Lengthy description of the Student Battalion competition.
17 In general; candidates for graduation in June
Normal Eyte 11:32, p.783

Roster of members of the June 1901 graduating classes.

18 Athletic
Normal Eyte 10:21, p.516
Athletic Board of ten members is set up to help bring athletics under better management.
19 Aristo report
Normal Eyte 10:21, p.514
Working on parliamentary procedure.
20 The class representatives chosen for Commencement
Normal Eyte 10:19, p.463
Roster of representatives.
21 Normalites are thankful
Normal Eyte 10:11, p.261
Students and faculty tell what they are thankful for.
22 Normal's record in debate; four victories, one defeat
Normal Eyte 10:8, p.184
Recap of debates with Iowa State University in recent years; photo.
23 Lorne Parker
Normal Eyte 10:6, p.129
Visited Iowa City.
24 In general
Normal Eyte 10:4, p.80
E. S. Baker, M. J. Lamb, and L. F. Parker will compete in debate against Ames.
25 Appointment in the Iowa State Normal School cadet Battalion
Normal Eyte 10:3, p.56

'''
Structure and calculated powder XRD pattern of LaPrTl (the GGA-PBE geometry in Alexandria; a wavelength of 1.5418 Å).
Kinematic intensities with the Lorentz-polarization factor, no thermal factor.

Top 8 peaks for 15 to 90 degrees two-theta, by intensity:
- 30.01 deg, d = 2.978 Å, rel. 100
- 33.41 deg, d = 2.682 Å, rel. 78
- 45.52 deg, d = 1.993 Å, rel. 32
- 57.63 deg, d = 1.600 Å, rel. 32
- 51.02 deg, d = 1.790 Å, rel. 23
- 72.63 deg, d = 1.302 Å, rel. 16
- 59.72 deg, d = 1.548 Å, rel. 15
- 78.18 deg, d = 1.223 Å, rel. 13

```
3
Lattice="5.3637 0.0000 0.0000 -2.6819 4.6451 0.0000 0.0000 0.0000 3.8799" Properties=species:S:1:pos:R:3 pbc="T T T"
La 0.0000 0.0000 0.0000
Pr 2.6819 1.5484 2.3384
Tl 0.0000 3.0968 1.3182
```


Structure and calculated powder XRD pattern of La12Pr5Tl2 (the GGA-PBE geometry in Alexandria; a wavelength of 1.5418 Å).
Kinematic intensities with the Lorentz-polarization factor, no thermal factor.

Top 8 peaks for 15 to 90 degrees two-theta, by intensity:
- 30.67 deg, d = 2.915 Å, rel. 100
- 29.09 deg, d = 3.069 Å, rel. 77
- 31.69 deg, d = 2.824 Å, rel. 73
- 31.27 deg, d = 2.860 Å, rel. 66
- 30.51 deg, d = 2.930 Å, rel. 64
- 34.80 deg, d = 2.578 Å, rel. 57
- 31.54 deg, d = 2.837 Å, rel. 42
- 34.70 deg, d = 2.585 Å, rel. 36

```
19
Lattice="7.9566 -4.7674 0.0000 7.9566 4.7674 0.0000 -0.6516 0.0000 8.9035" Properties=species:S:1:pos:R:3 pbc="T T T"
La 0.6847 0.0000 2.8775
La 5.7407 2.9056 2.9313
La 5.1266 1.7700 6.7632
La 9.5210 2.9056 5.9722
La 6.6292 0.0000 0.9794
La 10.1350 1.7700 2.1403
La 5.1266 -1.7700 6.7632
La 8.6324 0.0000 7.9241
La 5.7407 -2.9056 2.9313
La 10.1350 -1.7700 2.1403
La 9.5210 -2.9056 5.9722
La 14.5769 0.0000 6.0260
Pr 3.0192 0.0000 0.1273
Pr 3.9717 0.0000 3.7229
Pr 7.6308 0.0000 4.4518
Pr 11.2899 0.0000 5.1806
Pr 12.2424 0.0000 8.7762
Tl 7.9566 3.0667 0.0000
Tl 7.9566 -3.0667 0.0000
```


Structure and calculated powder XRD pattern of La3Pr2Tl3 (the GGA-PBE geometry in Alexandria; a wavelength of 1.5418 Å).
Kinematic intensities with the Lorentz-polarization factor, no thermal factor.

Top 8 peaks for 15 to 90 degrees two-theta, by intensity:
- 30.81 deg, d = 2.903 Å, rel. 100
- 34.50 deg, d = 2.600 Å, rel. 19
- 33.12 deg, d = 2.705 Å, rel. 19
- 59.53 deg, d = 1.553 Å, rel. 16
- 39.28 deg, d = 2.294 Å, rel. 13
- 57.73 deg, d = 1.597 Å, rel. 13
- 48.58 deg, d = 1.874 Å, rel. 13
- 65.98 deg, d = 1.416 Å, rel. 12

```
8
Lattice="-2.2935 2.5997 10.8182 2.2935 -2.5997 10.8182 2.2935 2.5997 -10.8182" Properties=species:S:1:pos:R:3 pbc="T T T"
La 0.0000 0.0000 0.0000
La 2.2935 0.0000 8.2380
La 0.0000 2.5997 2.5802
Pr 0.0000 0.0000 5.0840
Pr 0.0000 0.0000 16.5524
Tl 2.2935 0.0000 2.7300
Tl 0.0000 0.0000 10.8182
Tl 0.0000 2.5997 8.0882
```


Structure and calculated powder XRD pattern of LaPr4Tl2 (the GGA-PBE geometry in Alexandria; a wavelength of 1.5418 Å).
Kinematic intensities with the Lorentz-polarization factor, no thermal factor.

Top 8 peaks for 15 to 90 degrees two-theta, by intensity:
'''

Roster of officers in the Student Battalion.

26 School directory
Normal Eyte 10:1, p.17
Student organizations and their officers.
27 The Aristo-Orio debate
Normal Eyte 9:19, p.447
Recounting of the debate.
28 Lorne Parker
Normal Eyte 9:19, p.452
Brother Harry visited.